DNS Modification with DNSInject for Nessus Plugin 35372

Part of our normal pen test process, when performing an external assessment, is running a Nessus scan against the in-scope IP range(s) provided by our customer.  We usually have this running in the background while carrying out our own analysis against the IP ranges.  On a past assessment, we started with this same process.  After some time went by, I checked our scan results that we had so far, and found an interesting vulnerability listed.  Specifically, Nessus plugin 35372:

Nessus Plugin Info

# Next to the page, the page also holds molecular data
=====
# 1
# C29H40MnN2O3Si

A molecular structure, C29H40MnN2O3Si at a distorted geometry (ωB97M-V/def2-TZVPD, the Open Molecules 2025 dataset).

Calculated values
HOMO-LUMO gap (alpha / beta): 7.324 / 7.305 eV
Spin multiplicity: 6
LUMO energy (alpha / beta): -0.119 / -0.301 eV

The geometry in XYZ format:
```
76
Properties=species:S:1:pos:R:3:lowdin_charge:R:1
Mn 1.61266 0.46678 -1.75657 1.004
Si -0.71561 2.85679 -2.02964 0.387
O -0.16809 -1.74485 -4.59686 0.056
O 0.55813 -1.05925 -2.58804 -0.192
O 2.76083 1.09053 0.09698 -0.121
N 2.32908 0.69290 -3.81089 -0.053
N 0.84053 2.34039 -1.37444 -0.163
C 2.62041 2.53826 0.16827 -0.170
C 2.52668 5.26919 0.10575 -0.089
C -0.78458 -3.43509 1.34810 -0.197
C -4.48381 -1.25857 1.18351 -0.054
C -0.78500 -3.21208 3.84718 -0.044
C 3.60136 3.26117 0.86561 -0.019
C -1.66947 3.96647 -0.83830 -0.179
C 0.58928 -4.02086 1.29133 -0.051
C -1.34526 -2.88353 2.49603 -0.201
C -2.43269 -2.00000 2.39849 -0.217
C -1.16381 -4.33045 -0.98598 -0.034
C -1.78083 1.28636 -2.17063 -0.163
C -1.54294 -3.38142 0.14660 -0.167
C 1.74494 0.71711 2.26041 0.008
C 2.73367 0.39475 1.29109 -0.254
C 2.78857 -0.84672 3.76238 -0.088
C 1.72964 0.03686 3.47285 -0.068
C 3.76768 -0.52636 1.57316 -0.012
C 3.76712 -1.09880 2.81015 -0.102
C -0.60985 3.70349 -3.65586 -0.182
C -2.58902 -2.45182 0.04483 -0.196
C 1.76169 -0.34797 -4.67363 -0.142
C -3.22282 -2.15268 -1.27796 -0.056
C -3.12013 -1.88540 1.21122 -0.214
C 1.64010 3.18120 -0.64776 -0.356
C 1.58235 4.55005 -0.60599 -0.055
C 0.63569 -1.17176 -3.90901 -0.624
C -2.79783 -1.06837 3.49978 -0.051
C 3.52802 4.62702 0.82081 -0.118
H 2.49978 6.35499 0.15484 0.105
H 0.86750 0.13898 4.16443 0.114
H 0.93739 -4.03693 0.25806 0.066
H 4.29412 2.68572 1.47449 0.124
H 1.29999 -3.48201 1.95766 0.084
H -1.87955 -0.84033 4.00604 0.059
H 4.58773 -1.75994 3.11787 0.115
H -4.00818 -2.85272 -1.61246 0.088
H -3.62027 -1.13289 -1.18712 0.065
H -0.26351 3.03960 -4.46374 0.027
H -2.70218 3.62372 -0.83114 0.020
H -5.20437 -1.79627 0.53997 0.092
H -4.42942 -0.14531 0.90879 0.110
H 4.28026 5.27388 1.27955 0.104
H -1.87436 0.75605 -1.21243 0.037
H 1.02039 1.50122 2.09614 0.123
H 2.00409 1.62469 -4.08401 0.091
H -3.54194 -1.51937 4.24747 0.118
H -0.32354 -3.88186 -1.50362 0.073
H -2.73025 1.58662 -2.59819 0.032
H 4.51393 -0.72594 0.82917 0.114
H -1.68352 5.01578 -1.22770 0.039
H 0.83654 5.04052 -1.28765 0.113
H -1.26134 3.95344 0.18091 0.032
H 0.01560 4.60515 -3.74371 0.038
H -0.10903 -2.37017 4.13861 0.073
H -2.03337 -4.40674 -1.64749 0.076
H -1.62542 3.95874 -3.89919 0.024
H -1.25182 0.59832 -2.83050 0.004
H 0.62306 -5.08258 1.61870 0.092
H -2.46864 -2.24835 -2.12300 0.098
H 2.53062 -1.06234 -5.00029 0.122
H 1.31123 0.00439 -5.59320 0.114
H 3.37309 0.77732 -3.78464 0.119
H -4.86541 -1.22164 2.19859 0.061
H -1.58306 -3.18942 4.61187 0.085
H -0.20679 -4.15588 3.86471 0.086
H -3.23302 -0.20098 3.05294 0.064
H 2.89320 -1.20740 4.75930 0.094
H -0.89618 -5.32344 -0.60306 0.087
```

# 2
# C29H40N2O5PPdSSi
=====

Looking at the finding details, Nessus also provided the DNS zone that is vulnerable to modification.  However, one thing that I didn’t see was an existing tool that allowed me to perform the record injection attack (see note below).  I have only seen a finding similar to this on an internal assessment, and in that case I used dnsfun.  However, I wasn’t sure dnsfun would work in this case, and I wanted to learn how to write a script that would perform this attack myself, so I decided to do just that.

I started off by checking out RFC 2136, and learned that I’m going to need to specify the zone that I want to modify (add/remove) a record for and the resource record itself that will be modified, while being sure to set the DNS packet’s opcode to 5 (Update).  This is something that could be easily done with scapy.

Scapy Packet Definition

The great thing about scapy, is you can define any specific packet attribute values that you wish (ttl, record type, etc.), and the attributes that aren’t specified are automatically populated by scapy with their proper values.  The above code states that I want to send a packet to a specific destination, it’s a DNS UDP packet, with the opcode set to 5 (update), and the DNS specific information is set by the command line options provided by the user.  And… that’s it!

I wrapped this up into a script that lets you either add or delete A records on a vulnerable name server pretty easily.  It’s called, simply, DNSInject.

DNSInject Options

To add a record with DNSInject.py, just specify the add action, provide the vulnerable name server, the A record you wish to create, and the IP it will point to.  Your command should look similar to the following:

./DNSInject.py --add -ns -d thisisa.test.local -ip


To delete a record, you only need to provide the vulnerable name server, and the record to delete.  Again, your command could look similar to the following:

./DNSInject.py --delete -ns -d thisisa.test.local


To get and use DNSInject, just clone the following github repo – https://github.com/ChrisTruncer/PenTestScripts

Hope this helps, and if you have any questions, feel free to ask!


Note: Of course, after completing writing this script, I discovered two other options which can help carry out this attack, so I wanted to be sure to mention them.  Scapy has a built in function to both add and delete records, and you could also use nsupdate. Definitely be sure to check out those options as well!